Exercise =
The reader should print the whole of the listing further down exactly.

Listing =
┌──
(1)
Material: Ac2HfF11
Method: DFT, GGA-PBE
State: optimized geometry Values from VASP.

Results
- energy relative to the elements, uncorrected (eV per atom) = -3.695
- E (eV per atom) = -6.4637
- N(E_F) (states/eV per cell) = 1.62

Cell and atoms, written as Quantum ESPRESSO input:
```
&SYSTEM
  ibrav = 0, nat = 28, ntyp = 3
/
ATOMIC_SPECIES
Ac 227.00 Ac.upf
Hf 178.49 Hf.upf
F 19.00 F.upf
ATOMIC_POSITIONS crystal
Ac 0.6757 0.6931 0.3069
Ac 0.3243 0.3069 0.6931
Ac 0.8243 0.1931 0.8069
Ac 0.1757 0.8069 0.1931
Hf 0.7500 0.7500 0.7500
Hf 0.2500 0.2500 0.2500
F 0.6742 0.7111 0.5781
F 0.3258 0.2889 0.4219
F 0.0366 0.5781 0.7111
F 0.8258 0.9219 0.7889
F 0.9634 0.4219 0.2889
F 0.1742 0.0781 0.2111
F 0.4634 0.7889 0.9219
F 0.5366 0.2111 0.0781
F 0.5000 0.5000 0.5000
F 0.0000 0.0000 0.0000
F 0.8961 0.8232 0.1768
F 0.1039 0.1768 0.8232
F 0.6039 0.3232 0.6768
F 0.3961 0.6768 0.3232
F 0.4323 0.9921 0.3052
F 0.5677 0.0079 0.6948
F 0.2703 0.3052 0.9921
F 0.0677 0.1948 0.5079
F 0.7297 0.6948 0.0079
F 0.9323 0.8052 0.4921
F 0.2297 0.5079 0.1948
F 0.7703 0.4921 0.8052
CELL_PARAMETERS angstrom
1.5257 -7.9889 -3.8592
6.4489 -0.9457 -5.9930
5.8803 -5.6307 3.4808
```

---

(2)
Material: AcHf2F11
Method: DFT, GGA-PBE
State: optimized geometry Values from VASP.

Results
- energy relative to the elements, uncorrected (eV per atom) = -3.960
- E (eV per atom) = -7.1461
- N(E_F) (states/eV per cell) = 0.00

Cell and atoms, written as Quantum ESPRESSO input:
```
&SYSTEM
  ibrav = 0, nat = 28, ntyp = 3
/
ATOMIC_SPECIES
Ac 227.00 Ac.upf
Hf 178.49 Hf.upf
F 19.00 F.upf
ATOMIC_POSITIONS crystal
Ac 0.7500 0.7500 0.7500
Ac 0.2500 0.2500 0.2500
Hf 0.6301 0.6802 0.3198
Hf 0.3699 0.3198 0.6802
Hf 0.8699 0.1802 0.8198
Hf 0.1301 0.8198 0.1802
F 0.6339 0.7021 0.5456
F 0.3661 0.2979 0.4544
F 0.1184 0.5456 0.7021
F 0.8661 0.9544 0.7979
F 0.8816 0.4544 0.2979
F 0.1339 0.0456 0.2021
F 0.3816 0.7979 0.9544
F 0.6184 0.2021 0.0456
F 0.5000 0.5000 0.5000
F 0.0000 0.0000 0.0000
F 0.8685 0.7800 0.2200
F 0.1315 0.2200 0.7800
F 0.6315 0.2800 0.7200
F 0.3685 0.7200 0.2800
F 0.4714 0.9414 0.3211
F 0.5286 0.0586 0.6789
F 0.2661 0.3211 0.9414
F 0.0286 0.1789 0.5586
F 0.7339 0.6789 0.0586
F 0.9714 0.8211 0.4414
F 0.2339 0.5586 0.1789
F 0.7661 0.4414 0.8211
CELL_PARAMETERS angstrom
-3.7298 -2.1500 6.5449
-7.7656 -3.6880 -0.9486
0.7500 -8.2763 2.3969
```

---

(3)
Material: Ac2HfF
Method: DFT, GGA-PBE
State: optimized geometry Values from VASP.

Results
- energy relative to the elements, uncorrected (eV per atom) = -0.562
- E (eV per atom) = -5.5726
- N(E_F) (states/eV per cell) = 4.04

Cell and atoms, written as Quantum ESPRESSO input:
```
&SYSTEM
  ibrav = 0, nat = 4, ntyp = 3
/
ATOMIC_SPECIES
Ac 227.00 Ac.upf
Hf 178.49 Hf.upf
F 19.00 F.upf
ATOMIC_POSITIONS crystal
Ac 0.1021 0.1021 0.6936
Ac 0.8979 0.8979 0.3064
Hf 0.0000 0.0000 0.0000
F 0.5000 0.5000 0.5000
CELL_PARAMETERS angstrom
3.5391 0.0000 0.0000
1.7696 3.0650 0.0000
1.7696 1.0217 10.6329
```
└──

Completed =
(1)
Material: Ac2HfF11
Method: DFT, GGA-PBE
State: optimized geometry Values from VASP.

Results
- energy relative to the elements, uncorrected (eV per atom) = -3.695
- E (eV per atom) = -6.4637
- N(E_F) (states/eV per cell) = 1.62

Cell and atoms, written as Quantum ESPRESSO input:
```
&SYSTEM
  ibrav = 0, nat = 28, ntyp = 3
/
ATOMIC_SPECIES
Ac 227.00 Ac.upf
Hf 178.49 Hf.upf
F 19.00 F.upf
ATOMIC_POSITIONS crystal
Ac 0.6757 0.6931 0.3069
Ac 0.3243 0.3069 0.6931
Ac 0.8243 0.1931 0.8069
Ac 0.1757 0.8069 0.1931
Hf 0.7500 0.7500 0.7500
Hf 0.2500 0.2500 0.2500
F 0.6742 0.7111 0.5781
F 0.3258 0.2889 0.4219
F 0.0366 0.5781 0.7111
F 0.8258 0.9219 0.7889
F 0.9634 0.4219 0.2889
F 0.1742 0.0781 0.2111
F 0.4634 0.7889 0.9219
F 0.5366 0.2111 0.0781
F 0.5000 0.5000 0.5000
F 0.0000 0.0000 0.0000
F 0.8961 0.8232 0.1768
F 0.1039 0.1768 0.8232
F 0.6039 0.3232 0.6768
F 0.3961 0.6768 0.3232
F 0.4323 0.9921 0.3052
F 0.5677 0.0079 0.6948
F 0.2703 0.3052 0.9921
F 0.0677 0.1948 0.5079
F 0.7297 0.6948 0.0079
F 0.9323 0.8052 0.4921
F 0.2297 0.5079 0.1948
F 0.7703 0.4921 0.8052
CELL_PARAMETERS angstrom
1.5257 -7.9889 -3.8592
6.4489 -0.9457 -5.9930
5.8803 -5.6307 3.4808
```

---

(2)
Material: AcHf2F11
Method: DFT, GGA-PBE
State: optimized geometry Values from VASP.

Results
- energy relative to the elements, uncorrected (eV per atom) = -3.960
- E (eV per atom) = -7.1461
- N(E_F) (states/eV per cell) = 0.00

Cell and atoms, written as Quantum ESPRESSO input:
```
&SYSTEM
  ibrav = 0, nat = 28, ntyp = 3
/
ATOMIC_SPECIES
Ac 227.00 Ac.upf
Hf 178.49 Hf.upf
F 19.00 F.upf
ATOMIC_POSITIONS crystal
Ac 0.7500 0.7500 0.7500
Ac 0.2500 0.2500 0.2500
Hf 0.6301 0.6802 0.3198
Hf 0.3699 0.3198 0.6802
Hf 0.8699 0.1802 0.8198
Hf 0.1301 0.8198 0.1802
F 0.6339 0.7021 0.5456
F 0.3661 0.2979 0.4544
F 0.1184 0.5456 0.7021
F 0.8661 0.9544 0.7979
F 0.8816 0.4544 0.2979
F 0.1339 0.0456 0.2021
F 0.3816 0.7979 0.9544
F 0.6184 0.2021 0.0456
F 0.5000 0.5000 0.5000
F 0.0000 0.0000 0.0000
F 0.8685 0.7800 0.2200
F 0.1315 0.2200 0.7800
F 0.6315 0.2800 0.7200
F 0.3685 0.7200 0.2800
F 0.4714 0.9414 0.3211
F 0.5286 0.0586 0.6789
F 0.2661 0.3211 0.9414
F 0.0286 0.1789 0.5586
F 0.7339 0.6789 0.0586
F 0.9714 0.8211 0.4414
F 0.2339 0.5586 0.1789
F 0.7661 0.4414 0.8211
CELL_PARAMETERS angstrom
-3.7298 -2.1500 6.5449
-7.7656 -3.6880 -0.9486
0.7500 -8.2763 2.3969
```

---

(3)
Material: Ac2HfF
Method: DFT, GGA-PBE
State: optimized geometry Values from VASP.

Results
- energy relative to the elements, uncorrected (eV per atom) = -0.562
- E (eV per atom) = -5.5726
- N(E_F) (states/eV per cell) = 4.04

Cell and atoms, written as Quantum ESPRESSO input:
```
&SYSTEM
  ibrav = 0, nat = 4, ntyp = 3
/
ATOMIC_SPECIES
Ac 227.00 Ac.upf
Hf 178.49 Hf.upf
F 19.00 F.upf
ATOMIC_POSITIONS crystal
Ac 0.1021 0.1021 0.6936
Ac 0.8979 0.8979 0.3064
Hf 0.0000 0.0000 0.0000
F 0.5000 0.5000 0.5000
CELL_PARAMETERS angstrom
3.5391 0.0000 0.0000
1.7696 3.0650 0.0000
1.7696 1.0217 10.6329
```